Parents wishing to visit All Saints School, before or after application is made, should contact the Headteacher to make arrangements on 01977 722600. A planned group visit and meeting will also be arranged before your child begins school.
The school’s Governing Body is the admissions authority for our school however, all Wakefield Local Authority (LA) schools, including voluntary aided schools such as All Saints are now included in the Co-ordinated Scheme for Admission which is administered by Wakefield Local Authority.
Making an application
For children starting school in our Reception Class there is a standard form - the Wakefield Common Application Form (WCAF) which needs to be completed by all parents applying for a place in our school or any other Local Authority (LA) school. The Wakefield Common Application form (WCAF) can be obtained from the LA between September 2015 and the closing date of 15th January 2016. The Co-ordinated Scheme is a mechanism that will ensure that every parent resident in Wakefield, who has applied for a school place in Wakefield during the normal admission round, receives a single offer of a school place on the same day from the LA. Parents applying for a place in our school must complete a Wakefield Common Application Form expressing up to three preferences in rank order of preference. The Wakefield Common Application Form is available from the LA (tel. 01924 305616).
A Supplementary Information Form (SIF) which asks about Church commitment is available from our school. This form should be completed if you want your application to be considered using the Christian Commitment Oversubscription Criteria of the School’s Admissions Policy. The Common Application Form and SIF are used to determine priority for admissions for our school where there are more applications than places available. Failure to complete the SIF may affect the oversubscription criteria in which your child is placed. The SIF form should be forwarded to our school.
All children are admitted to the Reception Class on the first day the school is open following
1st September 2016,at the beginning of the school year in which their fifth birthday falls.
Date of Fifth Birthday Full-time Admission
Between 1st September 2011 and 31st August 2012 September 2016
The closing date for applications for a place in Reception for September 2016 is 15th January 2016. The planned admission limit to Reception for the year commencing September 2015 will be a maximum of 35. Two exemptions apply: (a) Children of Multiple births and (b) Children of Service Personnel. This arrangement follows consultation between the Governing Body, the Church of England Diocesan Board of Education, Local Authority, other admissions authorities in the area, parents and local groups. The Governing Body will not place any restrictions on admissions to Reception unless the number of children for whom admission is sought exceeds the number of places available. By law, no infant class may contain more than thirty children. If there are more applications received than places available during the normal admissions round, the Governing Body applies the following criteria in strict order of priority, which is determined by the Governing Body. The admission priority sets out the order in which places will be offered.
The local authority will inform parents of the offer of a place on 16th April 2016. Parents who intend to make an appeal against the decision of the Governing Body to refuse admission must submit a notice of appeal to: The Clerk to Aided School Appeal Panel, Wakefield C of E Diocesan Board of Education, Church House, 1 South Parade, Wakefield WF1 1LP.
Deferred Entry to Primary Schools - Where the Governing Body offers a place at All Saints School, a parent who accepts that school place can defer entry until the term after the child’s fifth birthday. There may be spring and summer term admissions as a result of parents who have deferred their child’s entry. Any deferred place at the school will be held for that child and will not be available to be offered to another child and the deferred place must be taken up during the same school year for which the offer of the school place was made and accepted. Entry to a school cannot be deferred to the next academic year or beyond the beginning of the term following the child’s fifth birthday. Parents can also request that their child attends school part time instead of full time until the child reaches statutory school age. Schools must accommodate such requests where it appears to be in the best interest of the child.
Children with a Statement of Special Educational Needs are dealt with under a different mechanism. Any child with a school named on their statement will automatically gain a place at the school named in the statement via the statementing process. For children with a statement of special educational needs, certain other conditions also have to be satisfied. Further information can be obtained from SEN Group or Parent Partnership at the Local Authority.
The Oversubscription Admission Criteria:
Where the number of applications for All Saints School received during the normal admissions round exceeds the admission number of the school the Governing Body will apply the following criteria in strict order of priority
1 Looked After Children and Previously Looked After Children (see explanatory notes).
2 A child who, or whose parents/guardians, resides within the parish of All Saints, or
whose parents/guardians are on the electoral roll of that church, and who are:
(a)‘At the heart of the church’
A regular worshipper. A person who worships at least twice per month over a period of no less
than 2 yearsprior to the closing date for applications.The worshipper could be one or both
parents or the child.
(b) ‘Attached to the church’
A regular but not frequent worshipper. A person who usually attends a monthly family or church
parade service or is regularly involved in a weekday church activity including an element of
worship over a period of no less than 2 yearsprior to the closing date for applications.
A ‘Supplementary Information Form’ (SIF) to provide confirmation of Christian commitment is available from the school. The form should be signed by the Vicar, Rector, Priest in Charge, etc. During an interregnum the form should be signed by a Churchwarden.
Parents having moved to become resident in the parish(es) mentioned above, having been on the Electoral Roll of another Anglican parish, will qualify upon proof of membership being provided by the priest of that other parish.
(See Explanatory Notes)
**Here the page breaks off for records of crystals**
This record from the Alexandria database describes an optimized crystal structure of NiSO. The functional is PBE+U.

abc: 3.479 3.479 7.750
angles: 99.14 99.14 84.15
Each line ends with the local moment (μB).
Fractional positions:
Ni 0.256 0.256 0.821  1.70
S 0.202 0.202 0.286  0.10
O 0.342 0.342 0.106  0.10
S 0.798 0.798 0.714  0.10
O 0.658 0.658 0.894  0.10
Ni 0.744 0.744 0.179  1.70

**VASP energy**: -24.57 eV for the cell shown
**Space group**: C2/m
**Magnetic moment**: 2.0 μB/f.u.

=====

[1]
Lu2S3 | SCAN | PBEsol geometry Values from VASP.

Geometry as Quantum ESPRESSO input:
```
&SYSTEM
  ibrav = 0, nat = 30, ntyp = 2
/
ATOMIC_SPECIES
Lu 174.97 Lu.upf
S 32.06 S.upf
CELL_PARAMETERS angstrom
6.6536 0.0000 0.0000
-3.3268 5.7622 0.0000
0.0000 0.0000 18.1575
ATOMIC_POSITIONS crystal
Lu 0.3333 0.6667 0.2072
Lu 0.3333 0.6667 0.5095
Lu 0.0000 0.0000 0.3432
S 0.3380 0.3380 0.2759
S 0.0000 0.3380 0.7759
S 0.0000 0.6620 0.2759
Lu 0.6667 0.3333 0.7072
S 0.3018 0.0000 0.4472
S 0.0000 0.3018 0.4472
S 0.3018 0.3018 0.9472
Lu 0.6667 0.3333 0.2072
Lu 0.6667 0.3333 0.5095
Lu 0.0000 0.0000 0.5449
S 0.6982 0.6982 0.4472
S 0.0000 0.6982 0.9472
Lu 0.0000 0.0000 0.0449
S 0.6620 0.0000 0.2759
S 0.0000 0.6319 0.6054
S 0.6319 0.6319 0.1054
Lu 0.6667 0.3333 0.0095
S 0.6620 0.6620 0.7759
Lu 0.0000 0.0000 0.8432
S 0.3681 0.0000 0.1054
Lu 0.3333 0.6667 0.0095
S 0.3380 0.0000 0.7759
Lu 0.3333 0.6667 0.7072
S 0.3681 0.3681 0.6054
S 0.6319 0.0000 0.6054
S 0.6982 0.0000 0.9472
S 0.0000 0.3681 0.1054
```

As for the density of states at the Fermi level: 0.00 states/eV/f.u. As for the space group: P6_3cm, No. 185. Its uncorrected formation energy is -2.2898 eV/atom.



[2]
SnIrIO2 | SCAN | PBEsol geometry Values from VASP.

Geometry as Quantum ESPRESSO input:
```
&SYSTEM
  ibrav = 0, nat = 5, ntyp = 4
/
ATOMIC_SPECIES
O 16.00 O.upf
Ir 192.22 Ir.upf
I 126.90 I.upf
Sn 118.71 Sn.upf
CELL_PARAMETERS angstrom
-3.8022 1.5200 0.3497
-1.2109 -3.4574 1.8628
1.2733 2.0985 4.7226
ATOMIC_POSITIONS crystal
O 0.0000 0.5000 0.0000
Ir 0.0000 0.0000 0.0000
O 0.5000 0.0000 0.0000
I 0.0000 0.0000 0.5000
Sn 0.5000 0.5000 0.5000
```

As for the density of states at the Fermi level: 2.56 states/eV/f.u. As for the space group: P4/mmm, No. 123. Its uncorrected formation energy is 0.1660 eV/atom.

=====

Record 1
Density functional theory data (PBE-GGA) for a geometry-optimized Pr2Zn2CdPt5 structure.

a b c (Å): 9.875 9.875 3.874
angles (deg): 90.00 90.00 90.00
Atoms (fractional coordinates):
1 Pr 0.178 0.322 0.000
2 Pr 0.322 0.822 0.000
3 Pr 0.678 0.178 0.000
4 Pr 0.822 0.678 0.000
5 Zn 0.119 0.619 0.000
6 Zn 0.381 0.119 0.000
7 Zn 0.619 0.881 0.000
8 Zn 0.881 0.381 0.000
9 Cd 0.000 0.000 0.000
10 Cd 0.500 0.500 0.000
11 Pt 0.000 0.500 0.500
12 Pt 0.064 0.790 0.500
13 Pt 0.210 0.064 0.500
14 Pt 0.290 0.564 0.500
15 Pt 0.436 0.290 0.500
16 Pt 0.500 0.000 0.500
17 Pt 0.564 0.710 0.500
18 Pt 0.710 0.436 0.500
19 Pt 0.790 0.936 0.500
20 Pt 0.936 0.210 0.500

## Properties
3 A child who has a brother or sister (including a half-, step- or adoptive brother or sister) attending the school at the proposed date of admission.
(See Explanatory Notes)
4 A child whose parents/guardians reside within the parish of All Saints who are members of another Christian Church recognised by Churches Together in England and Wales whose Church is within the parish, who are:
(See Explanatory Notes)
(a)‘At the heart of the church’
A regular worshipper. A person who worships at least twice per month over a period of no less than 2 yearsprior to the closing date for applications. The worshipper could be one or both parents.
b) ‘Attached to the church’
A regular but not frequent worshipper. A person who usually attends a monthly family or church parade service or is regularly involved in a weekday church activity including an element of worship over a period of no less than 2 yearsprior to the closing date for applications.
A ‘Supplementary Information Form’ (SIF) to provide confirmation of Christian commitment is available from school. The form should be signed by the Minister of Religion.
Parents having moved to become resident in the parish(es) mentioned above, having beenMembers ofanother Christian Church recognised by Churches Together in England and Wales, will qualify upon proof of membership being provided by theMinister of that other Church. (See Explanatory Notes)
5 A child of parents residing within the 'Admissions Priority Area'.
6 Other children
Looked After Children -A child who is (a) in the care of the Local Authority, or (b) being provided with accommodation by a local authority in the exercise of their social services functions (see the definition in Section 22 (1) of the Children Act 1989) at the time of making an application to a school.
Previously Looked After Children – Children who were looked after, but ceased to be so because they were adopted (definition below A) or became subject to a residence order (definition below B) or special guardianship order (definition below C). Further references to previously looked after children in this code means such children who were adopted (or subject to residence orders or special guardianship orders) immediately following having been looked after.
(A) Under the terms of the Adoption and Children Act 2002. See Section 46 (adoption orders).
(B) Under the terms of the Children Act 1989. See Section 8 which defines a ‘residence order’ as an order settling the arrangements to be made as to the person with whom the child is to live.
(C) See Section 14A of the Children Act 1989 which defines a ‘special guardianship order’ as an order appointing one or more individuals to be a child’s special guardian (or special guardians).
# What comes next are crystal structures, not part of the text
~~~
## CaHg3 (PBEsol)

Data for an optimized crystal structure of CaHg3.

```
8
Lattice="6.546 0.000 0.000 -3.273 5.669 0.000 0.000 0.000 5.025" Properties=species:S:1:pos:R:3 pbc="T T T"
Ca 0.000 3.779 1.256
Ca 3.273 1.890 3.769
Hg 0.000 1.845 3.769
Hg -1.675 4.746 3.769
Hg 1.598 0.923 1.256
Hg 1.675 4.746 3.769
Hg 4.948 0.923 1.256
Hg 3.273 3.824 1.256
```

Results
DFT total energy	-11.4	eV/cell
volume	186	Å³/cell
calculated formation energy	-465	meV/atom

~~~~~

Entry 1:
The following is a PBE calculation of Sr2YAs after structural relaxation, from the Alexandria database.

a b c (Å): 6.641 6.641 6.641
angles (deg): 137.63 137.63 61.47
Atoms (fractional coordinates):
Sr: 0.000 0.000 0.000
Sr: 0.750 0.250 0.500
Y: 0.250 0.750 0.500
As: 0.500 0.500 0.000

Output
* energy relative to the elements: -0.203 eV per atom
* symmetry: I-4m2, No. 119

=====

Entry 2:
The following is a PBE calculation of SrTmMgAl after structural relaxation, from the Alexandria database.

a b c (Å): 5.410 5.410 5.410
angles (deg): 60.00 60.00 60.00
Atoms (fractional coordinates):
Sr: 0.000 0.000 0.000
Tm: 0.500 0.500 0.500
Mg: 0.250 0.250 0.250
Al: 0.750 0.750 0.750

Output
* energy relative to the elements: -0.089 eV per atom
* symmetry: F-43m, No. 216

=====

Entry 3:
The following is a PBE calculation of LiPdPt after structural relaxation, from the Alexandria database.

a b c (Å): 4.321 4.321 2.690
angles (deg): 90.00 90.00 120.00
Atoms (fractional coordinates):
Li: 0.000 0.000 0.000
Pd: 0.333 0.667 0.198
Pt: 0.667 0.333 0.665

Output
* energy relative to the elements: -0.303 eV per atom
* symmetry: P3m1, No. 156
* polymorph energy (0 for the lowest one): 123 meV per atom

=====

Entry 4:
The following is a PBE calculation of BeZnTe2 after structural relaxation, from the Alexandria database.

a b c (Å): 3.787 3.787 6.774
angles (deg): 90.00 90.00 90.00
Atoms (fractional coordinates):
Be: 0.000 0.000 0.000
Zn: 0.500 0.500 0.721
Te: 0.000 0.000 0.627
Te: 0.500 0.500 0.117

Output
* symmetry: P4mm, No. 99
* raw formation energy: 7 meV/atom
* polymorph energy (0 for the lowest one): 414 meV per atom

~~~~~

Ga2IrPt after structural relaxation. Source: the Alexandria database, functional PBE.

Summary:
The value obtained for the total energy is -5.077 eV per atom.

abc: 6.937 6.937 6.937
angles: 132.52 132.52 69.40
Fractional coordinates of all 8 atoms:
Ga 0.118 0.625 0.993
Ga 0.375 0.368 0.493
Ga 0.632 0.125 0.007
Ga 0.875 0.882 0.507
Ir 0.000 0.000 0.000
Ir 0.750 0.250 0.500
Pt 0.250 0.750 0.500
Pt 0.500 0.500 0.000

~~~~~

This record from Alexandria via LeMat-Bulk describes NaAsRh after structural relaxation. The functional is GGA-PBE.

## Properties
ΔH_f (0 K) ... -0.27 eV/atom
N(E_F) ... 1.8 states/eV/cell
Mass density ... 5.1 g/cm³
Space-group type ... P-6m2 (187)
Magnetization ... 0.00 μB/cell

a = 4.0843 Å, b = 4.0843 Å, c = 4.5255 Å
α = 90.00°, β = 90.00°, γ = 120.00°
Atoms (fractional coordinates):
Na: 0.0000 0.0000 0.0000
As: 0.3333 0.6667 0.5000
~~~
Admissions Priority– A map showing the 'Admissions Priority Area' is available at school.
If there are more applications in a particular category than the number of places available, the remaining places will be offered to the children whose permanent address is nearest to school. The distance measured will be from the central (centroid) point of applicant’s property to the central (centroid) point of the school’s ground. Measurement will be made using the LA’s in-house and mapping software.
Brothers and Sisters - This category includes children with brothers or sisters (including step-brothers or sisters residing at the same address) of statutory school age, living at the same address, in attendance at our school, on the date of admission. Parents who have older children already attending the school are not guaranteed a place for their younger child/ren. Please note that where there are more applications than places available the Oversubscription Admission Criteria (above) will be followed.
Church Commitment – Supplementary Information Form (SIF) The purpose of the Supplementary Information Form is to verify the Christian commitment of the parent(s) applying for a place at All Saints, Featherstone, C of E (A) Junior, Infant & Nursery School. This form should be completed if you want your application to be considered using the Christian Commitment Oversubscription Criteria of the School’s admissions policy. Failure to complete this form may affect the oversubscription criteria in which your child is placed. The SIF is available from school and needs to be returned to the Headteacher at the school.
Home Address and Residing in
The Home Address will be the address used for correspondence related to where “Child Benefit” is paid. In cases where there is doubt of the home address or where a child lives between two homes (split families) or other relevant circumstances, proof of the Home Address must be provided to the school to confirm the address used on the application form. Home address will be the address that complies with the above at the closing date for applications set by the Local Authority.
Families who are due to move house should provide
i)a Solicitor’s letter confirming that exchange of Contracts has taken place on the purchase of a property; or
ii)a copy of the current Rental Agreement, signed by both the Tenants and the Landlords, showing the address of the property; or
iii)in the case of SERVING H.M. Forces personnel, an official letter confirming their date of posting from the MOD, FCO or GCHQ.
Other ChristianChurches (Churches Together in England)
The Baptist Union of Great Britain / MethodistChurchCherubim and Seraphim Council of Churches / MoravianChurch
Church of England / New Testament Assembly
Church of Scotland / Religious Society of Friends
Congregational Federation / Roman Catholic Church
Council of African and Afro-CaribbeanChurches / Russian Orthodox Church
Council of OrientalOrthodoxChristianChurches / Salvation Army
Free Churches’ Council / United ReformChurch
Greek Orthodox Church / WesleyanHolinessChurch
Independent Methodist Churches / Ichthus Christian Fellowship
Joint Council for Anglo-Caribbean Churches / International Ministerial Council of Great Britain
Lutheran Council of Great Britain
The term “Live” means the permanent address of the child.
The term “Sibling” is defined as:
- a full or half brother or sister
- a step brother or sister
**Unrelated to this page: calculated crystals:**
- - -
1.
PBE-GGA PmScGePd, relaxed; total DFT energy (no corrections) = -23.822 eV for the cell shown; energy relative to the elements = -0.73 eV per atom; symmetry = F-43m
1.0
0.0000 3.4990 3.4990
3.4990 0.0000 3.4990
3.4990 3.4990 0.0000
Pm Sc Ge Pd
1 1 1 1
Direct
0.0000 0.0000 0.0000 Pm
0.5000 0.5000 0.5000 Sc
0.2500 0.2500 0.2500 Ge
0.7500 0.7500 0.7500 Pd

***

2.
PBE-GGA BaLaRe2, relaxed; total DFT energy (no corrections) = -26.076 eV for the cell shown; distance to the lowest polymorph of the same formula = 1165 meV/atom; energy relative to the elements = 1.42 eV per atom; symmetry = R-3m
1.0
1.6821 0.9712 9.6940
-1.6821 0.9712 9.6940
0.0000 -1.9424 9.6940
Ba La Re
1 1 2
Direct
0.0000 0.0000 0.0000 Ba
0.5000 0.5000 0.5000 La
0.2404 0.2404 0.2404 Re
0.7596 0.7596 0.7596 Re

***

3.
PBE-GGA Dy6In5Pb, relaxed; total DFT energy (no corrections) = -48.992 eV for the cell shown; distance to the lowest polymorph of the same formula = 127 meV/atom; energy relative to the elements = -0.33 eV per atom; symmetry = C2/m
1.0
3.2379 -5.4642 0.0000
3.2379 5.4642 0.0000
-1.9220 0.0000 9.7645
Dy In Pb
6 5 1
Direct
0.0769 0.4129 0.2463 Dy
0.2481 0.2481 0.7495 Dy
0.4129 0.0769 0.2463 Dy
0.5871 0.9231 0.7537 Dy
0.7519 0.7519 0.2505 Dy
0.9231 0.5871 0.7537 Dy
0.0000 0.0000 0.0000 In
0.1693 0.8307 0.5000 In
0.3367 0.6633 0.0000 In
0.6633 0.3367 0.0000 In
0.8307 0.1693 0.5000 In
0.5000 0.5000 0.5000 Pb

***

4.
PBE-GGA MgCdCl2, relaxed; total DFT energy (no corrections) = -10.022 eV for the cell shown; distance to the lowest polymorph of the same formula = 311 meV/atom; symmetry = P4/mmm; uncorrected formation energy = -0.955 eV/atom
1.0
3.2261 0.0000 0.0000
0.0000 3.2261 0.0000
0.0000 0.0000 10.2070
Mg Cd Cl
1 1 2
Direct
0.0000 0.0000 0.0000 Mg
0.0000 0.0000 0.5000 Cd
0.5000 0.5000 0.1475 Cl
0.5000 0.5000 0.8525 Cl

***

5.
PBE-GGA NaC, relaxed; total DFT energy (no corrections) = -6.350 eV for the cell shown; distance to the lowest polymorph of the same formula = 1866 meV/atom; energy relative to the elements = 2.10 eV per atom; symmetry = P-6m2
1.0
4.1436 0.0000 0.0000
-2.0718 3.5885 0.0000
0.0000 0.0000 1.9251
Na C
1 1
Direct
0.0000 0.0000 0.0000 Na
0.6667 0.3333 0.5000 C

***

6.
PBE-GGA Sc3TiPd, relaxed; total DFT energy (no corrections) = -31.065 eV for the cell shown; distance to the lowest polymorph of the same formula = 0 meV/atom; energy relative to the elements = 0.20 eV per atom; symmetry = Pm-3m
1.0
5.0329 0.0000 0.0000
0.0000 5.0329 0.0000
0.0000 0.0000 5.0329
Sc Ti Pd
3 1 1
Direct
0.0000 0.0000 0.5000 Sc
0.0000 0.5000 0.0000 Sc
0.5000 0.0000 0.0000 Sc
0.5000 0.5000 0.5000 Ti
0.0000 0.0000 0.0000 Pd

***

7.
PBE-GGA Al4Au3, relaxed; total DFT energy (no corrections) = -26.708 eV for the cell shown; distance to the lowest polymorph of the same formula = 0 meV/atom; energy relative to the elements = -0.27 eV per atom; symmetry = I4/mmm
1.0
-1.8011 1.8011 9.2408
1.8011 -1.8011 9.2408
1.8011 1.8011 -9.2408
Al Au
4 3
Direct
0.0682 0.0682 0.0000 Al
- - -
- an adoptive brother or sister
- the children of parents living together in the same family household.
Step-brother, step-sister, half-brother and half-sister are defined as children who belong to only one parent living in the same family household. The Governing Body will, as far as possible, admit twins, triplets or children from other multiple births as long as they comply with the infant class size regulations.
Waiting List
Parents who wish their child to be included on the waiting list must inform the school in writing. Any places that become available will be allocated according to the published oversubscription criteria of the admission policy with no account being taken of the length of time on the waiting list or any priority order expressed as part of the main admission round.
In accordance with paragraph 3.27of The Admissions Code - As soon as school places become vacant The Governing Body must fill the vacancies from any waiting list, even if this is before admission appeals have been heard. Placing a child’s name on a waiting list does not affect a parent’s right of appeal against an unsuccessful application.
The waiting list will be reviewed and revised:
- Each time a child is added to, or removed from, the waiting list
- When a child’s changed circumstances will affect their priority
- At the end of each school year, when parents with a child on the waiting list will be contacted and asked if they wish to remain on the list for the following school year.
It should be noted that children who are the subject of direction by a local authority to admit or who are allocated to a school in accordance with an In-Year Fair Access Protocol (paragraph 3.28 of The Admissions Code), must take precedence over those on a waiting list. Where an admission authority holds a waiting list, they must make clear in their admission arrangements that these children will take precedence over any child already on that list. Legislation enables this to be done immediately without the need to apply to the Schools Adjudicator for a variation in determined admission arrangements[1].
Where the governors are unable to offer a place because the school is over subscribed, parents have the right to appeal to an independent admission appeal panel, set up under the School Standards and Framework Act, 1998, as amended by the Education Act, 2002.
Parents who intend to make an appeal against the Governing Body’s decision to refuse admission must submit a notice of appeal,within twenty one days of receiving the refusal letter,to:
The Clerk to Aided School Appeal Panel
Wakefield Diocesan Board of Education
Church House
1 South Parade
Telephone : 01924 371802
Normally appeal hearings will be held within six weeks of the closing date for receiving the notice of appeal.
If your child was refused a place in Reception or Key Stage 1 because of Government limits on Infant class sizes, the grounds on which your appeal could be successful are limited. You would have to show that the decision was one which in the circumstances no reasonable Governing Body would have made, or that your child would have been offered a place if the governors’ admissions arrangements had been properly implemented.
Please note that this right of appeal against the governors’ decision does not prevent you from making an appeal in respect of any other school.
The Wakefield Common Application Form (WCAF)will be sent to you directly by the Local Authority (LA). Please supply your contact details to the school office so that we can pass these details to the LA to ensure a form is sent to you in good time. Your application needs to be returned to the School Admissions Team at the LA as soon as possible, and by 15th January 2016 for admission to Reception Class in September 2016.
SCHOOL YEAR 2016/2017
All Saints is a ChurchAidedSchool, which means that members of the Parish of All Saints and the Diocese of Wakefield have contributed towards the building of the school and continue to pay towards its maintenance.
The School is designated as a school with a Religious Character and as such is permitted to give application preference to members of a particular faith or denomination.
The purpose of the Supplementary Information Form is to verify the Christian commitment of the parent(s) applying for a place at All Saints School. This form should be completed if you want your application to be considered using the Christian commitment oversubscription criteria of the Schools admission policy. Failure to complete this form may affect the oversubscription criteria in which your child is placed.
I / We – Name(s)Of - Address
Parent(s) of
(Child’s name)
Declare Christian Commitment, for at least the previous two yearsprior to the closing date for applications, described as:
‘At the heart of the church’ - A regular worshipper who is on the electoral roll of the church and worships at least twice per month. The worshipper could be one or both parents or the child. / Please tick‘Attached to the church’ - A regular but not frequent worshipper. A person who usually attends a monthly family or church parade service or is regularly involved in a weekday church activity including an element of worship. / Please tick
Parental Signature(s) / Please print your name(s)
(1) / (1)
(2) / (2)
Date / Date
Verified by / Vicar, Rector, Priest in Charge, Minister of Religion etc.
(During an interregnum the form may be signed by a Churchwarden).
Please print your name
Status within the church
Your contact address / telephone